What to do:
What is needed: repeat the contents below from the line with "(0.1272, 0.8728," to the end unchanged.

Data:
[1]
Compound: Ga4P4O17
Source: the Materials Project
Functional: PBE
Structure: optimized geometry

Calculated values
ΔH_f (0 K)	-2.361	eV/atom
ρ	1.841	g/cm³
size of the total moment	0.07	μB/atom
volume	3653	Å³ per cell
total DFT energy (no corrections)	-6.61	eV/atom

abc: 17.2864 17.2864 17.2864
angles: 60.00 60.00 60.00
Element x y z (fractional)
Ga (0.8930, 0.1070, 0.2729)
Ga (0.3930, 0.7729, 0.6070)
Ga (0.2729, 0.7271, 0.8930)
Ga (0.3930, 0.2271, 0.7729)
Ga (0.1070, 0.2729, 0.8930)
Ga (0.2729, 0.1070, 0.7271)
Ga (0.7271, 0.2729, 0.1070)
Ga (0.7271, 0.8930, 0.2729)
Ga (0.2271, 0.6070, 0.7729)
Ga (0.6070, 0.2271, 0.3930)
Ga (0.6070, 0.7729, 0.2271)
Ga (0.7729, 0.6070, 0.3930)
Ga (0.7271, 0.1070, 0.8930)
Ga (0.8930, 0.7271, 0.1070)
Ga (0.7729, 0.2271, 0.6070)
Ga (0.2271, 0.3930, 0.6070)
Ga (0.7729, 0.3930, 0.2271)
Ga (0.3930, 0.6070, 0.2271)
Ga (0.2271, 0.7729, 0.3930)
Ga (0.6070, 0.3930, 0.7729)
Ga (0.8930, 0.2729, 0.7271)
Ga (0.1070, 0.7271, 0.2729)
Ga (0.1070, 0.8930, 0.7271)
Ga (0.2729, 0.8930, 0.1070)
P (0.4175, 0.2224, 0.5825)
P (0.9175, 0.7224, 0.2776)
P (0.9175, 0.2776, 0.0825)
P (0.2776, 0.0825, 0.9175)
P (0.7224, 0.0825, 0.2776)
P (0.2224, 0.5825, 0.4175)
P (0.7224, 0.2776, 0.9175)
P (0.0825, 0.9175, 0.2776)
P (0.5825, 0.2224, 0.7776)
P (0.0825, 0.2776, 0.7224)
P (0.9175, 0.0825, 0.7224)
P (0.2224, 0.7776, 0.5825)
P (0.7776, 0.2224, 0.4175)
P (0.2776, 0.9175, 0.7224)
P (0.7776, 0.4175, 0.5825)
P (0.7224, 0.9175, 0.0825)
P (0.2224, 0.4175, 0.7776)
P (0.0825, 0.7224, 0.9175)
P (0.5825, 0.7776, 0.4175)
P (0.4175, 0.5825, 0.7776)
P (0.7776, 0.5825, 0.2224)
P (0.2776, 0.7224, 0.0825)
P (0.4175, 0.7776, 0.2224)
P (0.5825, 0.4175, 0.2224)
O (0.8467, 0.8219, 0.2823)
O (0.5491, 0.3219, 0.7823)
O (0.3728, 0.1445, 0.6272)
O (0.2987, 0.7013, 0.9971)
O (0.8728, 0.3555, 0.1272)
O (0.7823, 0.3219, 0.3467)
O (0.4509, 0.6781, 0.2177)
O (0.5029, 0.2013, 0.4971)
O (0.3219, 0.3467, 0.7823)
O (0.2987, 0.0029, 0.7013)
O (0.4971, 0.7987, 0.5029)
O (0.9971, 0.2987, 0.7013)
O (0.1272, 0.3555, 0.6445)
O (0.6533, 0.4509, 0.2177)
O (0.1781, 0.9509, 0.7177)
O (0.0029, 0.9971, 0.7013)
O (0.0491, 0.8219, 0.8467)
O (0.7987, 0.5029, 0.4971)
O (0.0491, 0.2823, 0.8219)
O (0.6533, 0.6781, 0.4509)
O (0.3555, 0.1272, 0.8728)
O (0.8219, 0.0491, 0.2823)
O (0.3219, 0.7823, 0.5491)
O (0.1781, 0.7177, 0.1533)
O (0.9509, 0.1533, 0.7177)
O (0.3728, 0.8555, 0.1445)
O (0.2987, 0.9971, 0.0029)
O (0.7177, 0.9509, 0.1533)
O (0.5491, 0.7823, 0.3467)
O (0.9509, 0.7177, 0.1781)
O (0.4971, 0.2013, 0.7987)
O (0.1272, 0.8728, 0.3555)
O (0.8219, 0.8467, 0.0491)
O (0.9971, 0.7013, 0.0029)
O (0.6272, 0.8555, 0.3728)
O (0.1533, 0.9509, 0.1781)
O (0.5029, 0.4971, 0.7987)
O (0.4509, 0.2177, 0.6533)
O (0.7013, 0.9971, 0.2987)
O (0.9509, 0.1781, 0.1533)
O (0.1533, 0.7177, 0.9509)
O (0.8555, 0.3728, 0.6272)
O (0.3219, 0.5491, 0.3467)
O (0.1533, 0.1781, 0.7177)
O (0.7500, 0.7500, 0.2500)
O (0.1445, 0.8555, 0.6272)
O (0.7987, 0.2013, 0.5029)
O (0.1781, 0.1533, 0.9509)
O (0.3555, 0.8728, 0.6445)
O (0.4971, 0.5029, 0.2013)
O (0.2013, 0.7987, 0.4971)
O (0.2500, 0.2500, 0.7500)
O (0.0029, 0.7013, 0.2987)
O (0.6272, 0.3728, 0.1445)
O (0.5491, 0.3467, 0.3219)
O (0.2823, 0.0491, 0.8467)
O (0.2500, 0.7500, 0.7500)
O (0.7013, 0.0029, 0.9971)
O (0.7823, 0.5491, 0.3219)
O (0.8219, 0.2823, 0.8467)
O (0.2177, 0.4509, 0.6781)
O (0.6781, 0.6533, 0.2177)
O (0.6445, 0.8728, 0.1272)
O (0.2823, 0.8219, 0.0491)
O (0.2823, 0.8467, 0.8219)
O (0.1445, 0.6272, 0.3728)
O (0.6533, 0.2177, 0.6781)
O (0.6445, 0.3555, 0.8728)
O (0.3467, 0.7823, 0.3219)
O (0.1445, 0.3728, 0.8555)
O (0.3555, 0.6445, 0.1272)
O (0.6445, 0.1272, 0.3555)
O (0.2013, 0.5029, 0.7987)
O (0.2500, 0.7500, 0.2500)
O (0.6272, 0.1445, 0.8555)
O (0.3728, 0.6272, 0.8555)
O (0.7500, 0.2500, 0.2500)
O (0.3467, 0.3219, 0.5491)
O (0.5029, 0.7987, 0.2013)
O (0.7987, 0.4971, 0.2013)
O (0.7177, 0.1781, 0.9509)
O (0.6781, 0.4509, 0.6533)
O (0.2177, 0.6533, 0.4509)
O (0.8728, 0.6445, 0.3555)
O (0.6781, 0.2177, 0.4509)
O (0.8467, 0.0491, 0.8219)

Completed:
O (0.1272, 0.8728, 0.3555)
O (0.8219, 0.8467, 0.0491)
O (0.9971, 0.7013, 0.0029)
O (0.6272, 0.8555, 0.3728)
O (0.1533, 0.9509, 0.1781)
O (0.5029, 0.4971, 0.7987)
O (0.4509, 0.2177, 0.6533)
O (0.7013, 0.9971, 0.2987)
O (0.9509, 0.1781, 0.1533)
O (0.1533, 0.7177, 0.9509)
O (0.8555, 0.3728, 0.6272)
O (0.3219, 0.5491, 0.3467)
O (0.1533, 0.1781, 0.7177)
O (0.7500, 0.7500, 0.2500)
O (0.1445, 0.8555, 0.6272)
O (0.7987, 0.2013, 0.5029)
O (0.1781, 0.1533, 0.9509)
O (0.3555, 0.8728, 0.6445)
O (0.4971, 0.5029, 0.2013)
O (0.2013, 0.7987, 0.4971)
O (0.2500, 0.2500, 0.7500)
O (0.0029, 0.7013, 0.2987)
O (0.6272, 0.3728, 0.1445)
O (0.5491, 0.3467, 0.3219)
O (0.2823, 0.0491, 0.8467)
O (0.2500, 0.7500, 0.7500)
O (0.7013, 0.0029, 0.9971)
O (0.7823, 0.5491, 0.3219)
O (0.8219, 0.2823, 0.8467)
O (0.2177, 0.4509, 0.6781)
O (0.6781, 0.6533, 0.2177)
O (0.6445, 0.8728, 0.1272)
O (0.2823, 0.8219, 0.0491)
O (0.2823, 0.8467, 0.8219)
O (0.1445, 0.6272, 0.3728)
O (0.6533, 0.2177, 0.6781)
O (0.6445, 0.3555, 0.8728)
O (0.3467, 0.7823, 0.3219)
O (0.1445, 0.3728, 0.8555)
O (0.3555, 0.6445, 0.1272)
O (0.6445, 0.1272, 0.3555)
O (0.2013, 0.5029, 0.7987)
O (0.2500, 0.7500, 0.2500)
O (0.6272, 0.1445, 0.8555)
O (0.3728, 0.6272, 0.8555)
O (0.7500, 0.2500, 0.2500)
O (0.3467, 0.3219, 0.5491)
O (0.5029, 0.7987, 0.2013)
O (0.7987, 0.4971, 0.2013)
O (0.7177, 0.1781, 0.9509)
O (0.6781, 0.4509, 0.6533)
O (0.2177, 0.6533, 0.4509)
O (0.8728, 0.6445, 0.3555)
O (0.6781, 0.2177, 0.4509)
O (0.8467, 0.0491, 0.8219)